If you pay much attention to the news of climate change, extinction rates and the like, it can look quite depressing and overpowering. And you can be forgiven for throwing your arms up and saying, “The poles are melting, the oceans are dying, and there’s nothing much I can do about it.”
But that’s because most climate scientists and environmental organizations continue to skip over the one critical thing that any and all of us can do to save ourselves, the other animals and the Earth from the devastation that climate change is beginning to wreak.
The fact is there’s one simple thing that we can all do about it. And the more of us do it, the more we can turn this whole thing around while there’s still time.
The key that keeps being ignored is the huge difference we can make by moving to a plant-based diet.
Two years ago, two people from the World Bank wrote a paper saying that more than half of all greenhouse gas emissions can be attributed directly to cattle, sheep, pigs, poultry, horses, goats, buffalo and camels.
That’s huge.
It’s saying that if you want to stop climate change, stop eating so much meat. It really is as simple as that. The more you switch to a plant-based diet, the more of a difference you make.
The two writers, Robert Goodland and Jeff Anhang, are not radical vegans from a fringe animal rights group; Goodland is a former World Bank Group environmental advisor, and Anhang is an environmental specialist at the World Bank Group’s International Finance Corporation.
These two experts reviewed a United Nations report (Livestock’s Long Shadow) which said that annual emissions from these domestic animals account for 18 percent of greenhouse gases. But Goodland and Anhang concluded that the UN’s figures were way too low, and that the true number is at least 51 percent:
Whenever the causes of climate change are discussed, fossil fuels top the list. Oil, natural gas, and especially coal are indeed major sources of human-caused emissions of carbon dioxide (CO2) and other greenhouse gases (GHGs).
But we believe that the life cycle and supply chain of domesticated animals raised for food have been vastly underestimated as a source of GHGs, and in fact account for at least half of all human-caused GHGs.
If this argument is right, it implies that replacing livestock products with better alternatives would be the best strategy for reversing climate change. In fact, this approach would have far more rapid effects on GHG emissions and their atmospheric concentrations – and thus on the rate the climate is warming – than actions to replace fossil fuels with renewable energy.
Livestock are already well-known to contribute to GHG emissions. “Livestock’s Long Shadow”, the widely-cited 2006 report by the United Nations Food and Agriculture Organization (FAO), estimates that 7,516 million metric tons per year of CO2 equivalents (CO2e), or 18 percent of annual worldwide GHG emissions, are attributable to cattle, buffalo, sheep, goats, camels, horses, pigs, and poultry. That amount would easily qualify livestock for a hard look indeed in the search for ways to address climate change.
But our analysis shows that livestock and their byproducts actually account for at least 32,564 million tons of CO2e per year, or 51 percent of annual worldwide GHG emissions.
**Unrelated to this piece: quantum chemistry results**
128
Properties=species:S:1:pos:R:3:forces:R:3 method="wB97M-V/def2-TZVPD" e_tot_ha=-7205.848431 max_force_ev_per_a=20.0 e_lumo_ev=-1.0 total_charge=-2 homo_lumo_gap_ev=1.9963
C -2.13123 2.39584 1.65897 0.90 -0.47 -0.59
C -2.11456 1.53354 0.33309 -0.84 0.78 -0.18
C -3.57310 1.23525 -0.23338 1.27 0.02 0.11
C -3.39615 0.83015 -1.74036 -0.63 -0.34 -0.17
C -4.51071 -0.12285 -2.31399 -0.51 0.22 0.41
C -4.89301 -1.34501 -1.38318 0.40 0.65 -0.49
C -3.66113 -2.13370 -0.78769 -1.13 -1.06 -0.04
C -3.97979 -2.62897 0.69272 0.41 0.83 -0.12
C -3.16599 -1.87972 1.82837 0.29 -0.79 0.67
C -1.94596 -2.74201 2.36622 -0.36 -0.32 -1.61
C -0.69809 -2.36874 1.48501 0.63 0.53 0.97
C 0.28408 -1.32387 2.18538 0.42 -1.43 -0.03
C 1.61921 -1.33575 1.34898 -0.13 0.66 -1.08
C 2.27113 0.09425 1.13690 -0.49 0.15 0.51
Si 4.14540 0.06664 0.82346 0.83 0.33 2.03
Cl 4.82210 1.77369 -0.28908 -0.42 -1.14 0.31
Cl 5.04759 0.28285 2.75058 -0.01 -0.28 -2.62
O 4.73492 -1.41654 0.18943 -1.30 1.52 -2.03
Si 4.10529 -1.78944 -1.35074 -1.23 -0.21 4.09
C 3.00020 -3.35736 -1.11176 0.23 0.00 -1.33
C 3.27745 -4.54965 -2.15266 -2.30 -0.11 1.54
C 1.85753 -5.16119 -2.51470 0.22 0.06 0.03
C 3.04247 -0.42592 -2.16124 0.17 -0.57 -2.14
C 2.45838 -1.02551 -3.55920 0.59 0.42 0.66
C 3.27065 -0.55041 -4.82845 -1.15 0.30 -0.55
C 2.81584 0.85190 -5.38560 -0.11 -0.42 -0.24
C 1.28538 0.95153 -5.74684 0.15 1.01 -0.39
C 0.94177 0.74351 -7.27977 -1.09 0.04 0.89
C 0.19865 -0.63892 -7.43469 0.42 0.37 -0.39
C -1.33557 -0.59566 -7.08110 2.59 -0.95 -1.48
O -1.71790 0.47137 -6.14751 3.88 -0.90 1.26
C -2.18700 -0.05084 -4.85675 4.75 1.56 6.33
H -1.23558 2.09289 2.25942 -0.90 0.36 -0.18
H -1.97618 3.47184 1.39343 -0.43 -0.85 0.36
H -3.06384 2.25278 2.25227 0.75 0.11 -0.42
H -1.60431 2.13434 -0.46395 -0.21 -0.48 0.64
H -1.52284 0.58601 0.44381 -0.65 0.69 -0.01
H -4.20178 2.15247 -0.12610 0.47 -0.67 -0.21
H -4.03047 0.44681 0.40987 0.23 0.46 -0.68
H -3.39187 1.76445 -2.36315 0.10 -0.74 0.49
H -2.40138 0.32630 -1.86956 -0.67 0.42 0.22
H -5.44474 0.48313 -2.44797 0.77 -0.46 -0.07
H -4.22329 -0.46700 -3.34974 -0.23 0.10 0.92
H -5.53447 -2.05044 -1.97639 0.48 0.59 0.56
H -5.55596 -0.92789 -0.57696 0.77 -0.48 -0.59
H -2.68676 -1.60358 -0.88690 -0.82 -0.16 0.32
H -3.56787 -3.07442 -1.40372 0.13 0.92 0.41
H -5.06520 -2.43676 0.90324 0.86 -0.40 -0.38
H -3.79120 -3.72740 0.72556 -0.19 0.81 0.28
H -3.84993 -1.68240 2.68987 0.44 0.13 -0.76
H -2.72104 -0.92519 1.44207 -0.77 -0.67 0.47
H -1.78165 -2.67805 3.46504 0.04 0.27 -0.84
H -2.18608 -3.81846 2.14239 0.22 0.89 0.45
H -0.08410 -3.27567 1.23300 -0.65 0.85 0.21
H -1.05101 -1.86467 0.54133 0.31 -0.68 0.62
H 0.54118 -1.71076 3.20924 -0.38 0.48 -0.84
H -0.16981 -0.31209 2.30837 0.38 -0.65 -0.27
H 1.34038 -1.71445 0.32124 0.33 0.25 0.89
H 2.37714 -2.05885 1.74019 -0.78 0.53 -0.03
H 2.13845 0.64857 2.11187 0.49 -0.35 -0.88
H 1.71137 0.71787 0.38277 0.49 -0.67 0.62
H 5.23187 -2.21070 -2.22206 0.38 0.21 -0.19
H 3.13197 -3.69256 -0.05335 -0.16 0.09 -0.78
These figures should be a green light for anyone who wants to bequeath to their children a planet that’s not spiraling into climate disaster.
Strong claims like this require strong evidence. And the rest of their article provides detailed evidence. You can read it here.
Very simply, the world’s best chance for mitigating climate change is to eat less meat. And the need is heightened by the fact that human population is expected to grow by 35 percent by 2050. And livestock numbers will double in that time—meaning they’ll be pumping twice the amount of greenhouse gases into the atmosphere.
The side benefits include a huge savings in water in an increasingly drought-stricken world, and all the health and nutritional benefits – in particular in relation to heart disease, diabetes-2 and several cancers – that are attributable directly to the food we eat.
The article touches briefly on the question of fish. And yes, we should cut way back on that, too. But Goodland and Anhang focus their calculations on the meat side of things because it’s more quantifiable in terms of greenhouse gases.
These figures should be a green light for anyone who wants to bequeath to their children a planet that’s not just spiraling into climate disaster.
After explaining the science of their conclusions, Goodland and Anhang also discuss the benefits to food companies of switching to plant-based food production. And while they’re not marketing experts, they do take a stab at how we can start making the change:
To achieve the growth discussed above will require a significant investment in marketing, especially since meat and dairy analogs (i.e. replacements) will be new to many consumers.
A successful campaign would avoid negative themes and stress positive ones. For instance, recommending that meat not be eaten one day per week suggests deprivation. Instead, the campaign should pitch the theme of eating all week long a line of food products that is tasty, easy to prepare, and includes a “superfood,” such as soy, that will enrich their lives.
When people hear appealing messages about food, they are listening particularly for words that evoke comfort, familiarity, happiness, ease, speed, low price, and popularity.
Of course, there will be significant opposition to such a change – just as there was pushback from the tobacco industry at the now-very-mainstream anti-smoking campaign. But once people recognize just how much damage the meat industry is doing to them, to their children and to the whole world, a movement that’s comparable to the anti-smoking one could begin to snowball.
What’s encouraging about all this is that it gives the lie to the belief that We the People are helpless in the face of climate change. In his recent book Our Choice, which delves deeply into the causes of climate change, Al Gore writes that little of any real consequence can be accomplished at this stage without the concerted action of governments around the world. But it’s hard to be optimistic about the likelihood of governments around the world working together when we can’t even get our own government working!
The new analysis of Goodland and Anhang goes in quite the other direction. Their focus on the food we eat shows how we can all individually make a difference. And while, certainly, it depends on a lot of us changing our habits, it gives each of us a meaningful starting point together with the potential for a snowball effect.
This could be a real “We the People” campaign that’s good for our health, good for our children, good for all the animals, and good for the planet. And it would ensure that we pass on to all of them the legacy of an inhabitable planet.
One Thing You Can Do
What comes next are records of molecules, not part of the page:
____________
ORCA calculation (ωB97M-V/def2-TZVPD) on a cluster of 7 separate species, C20H57N3O7 in total at a distorted geometry.

Last column: Löwdin charge in e.
CARTESIAN COORDINATES (ANGSTROEM)
C -6.051 2.238 -0.087  -0.08
O -5.425 3.485 0.227  -0.18
C -4.060 3.456 -0.043  -0.25
C -3.565 4.855 -0.193  -0.48
C -4.392 5.590 -1.170  -0.07
N -2.169 4.847 -0.661  0.08
H -6.004 2.187 -1.197  0.10
H -7.077 2.330 0.211  0.08
H -5.673 1.315 0.270  0.06
H -3.498 2.919 0.722  0.12
H -3.955 2.977 -1.011  0.12
H -3.773 5.355 0.725  0.13
H -5.374 5.682 -0.716  0.08
H -4.481 5.133 -2.147  0.09
H -4.025 6.652 -1.202  0.10
H -1.933 5.796 -0.751  0.06
H -1.758 4.494 0.209  0.06
C 4.983 -3.314 1.082  -0.09
O 4.935 -3.876 -0.252  -0.19
C 3.644 -3.868 -0.891  -0.20
C 2.795 -5.091 -0.513  -0.42
C 3.483 -6.335 -1.129  -0.04
N 1.424 -4.835 -0.992  0.04
H 4.099 -3.278 1.676  0.06
H 5.304 -2.275 0.962  0.07
H 5.706 -3.867 1.671  0.08
H 3.145 -2.894 -0.783  0.09
H 3.888 -3.923 -1.961  0.13
H 2.719 -5.129 0.586  0.13
H 2.924 -7.226 -0.941  0.06
H 4.463 -6.378 -0.623  0.09
H 3.587 -6.151 -2.168  0.06
H 0.984 -3.996 -0.675  0.04
H 0.805 -5.614 -0.804  0.07
C 0.947 -1.277 -2.310  -0.12
O 1.015 0.131 -2.195  -0.22
C 0.141 0.758 -3.158  -0.17
C 0.129 2.298 -2.964  -0.42
C 0.179 2.578 -1.468  -0.08
N -1.012 2.835 -3.687  0.03
H 1.639 -1.687 -2.969  0.07
H -0.039 -1.655 -2.663  0.11
H 1.195 -1.765 -1.353  0.06
H 0.435 0.481 -4.172  0.12
H -0.933 0.425 -3.020  0.12
H 1.042 2.764 -3.448  0.16
H 0.162 3.675 -1.374  0.08
H 0.992 2.181 -0.875  0.05
H -0.782 2.289 -1.038  0.06
H -1.947 2.681 -3.298  0.07
H -0.974 3.829 -3.936  0.08
C 3.847 0.307 -0.479  -0.07
C 2.780 0.193 0.619  -0.26
O 2.502 -1.254 0.837  -0.12
H 4.018 1.386 -0.584  0.08
H 3.511 -0.189 -1.409  0.07
H 4.784 -0.174 -0.088  0.08
H 1.853 0.781 0.391  0.08
H 3.152 0.532 1.584  0.11
H 1.860 -1.214 1.554  0.03
C -0.360 1.536 3.207  -0.06
C -0.372 2.590 2.079  -0.29
O 1.033 2.849 1.876  -0.09
H -0.173 1.988 4.158  0.07
H 0.331 0.767 3.027  0.04
H -1.327 1.141 3.373  0.06
H -0.911 3.556 2.351  0.12
H -0.906 2.183 1.206  0.07
H 1.139 3.261 1.005  0.06
C -3.132 -1.376 0.292  -0.07
C -2.245 -0.337 -0.315  -0.32
O -0.899 -0.698 -0.029  -0.09
H -4.152 -1.013 0.282  0.07
H -2.888 -1.518 1.352  0.08
H -2.938 -2.299 -0.171  0.07
H -2.478 0.659 -0.005  0.08
H -2.513 -0.373 -1.366  0.10
H -0.223 -0.045 -0.365  0.08
C 1.328 -2.990 4.356  -0.10
C 0.430 -2.983 3.180  -0.29
O 0.264 -1.605 2.722  -0.11
H 1.400 -3.939 4.842  0.07
H 0.891 -2.265 5.090  0.10
H 2.367 -2.707 4.160  0.08
H -0.552 -3.378 3.450  0.11
H 0.899 -3.625 2.443  0.10
H -0.183 -1.545 1.874  0.05

Its frontier orbital gap is 9.45 eV. Its relative energy (zero: lowest compared OMol25 entry of this formula, charge and spin) is 157.5 kJ/mol. Its max |F| is 2.87 eV Å⁻¹. As for the structure (SMILES): COC[C@H](C)N.COC[C@H](C)N.COC[C@H](C)N.CCO.CCO.CCO.CCO.

***

ORCA calculation (ωB97M-V/def2-TZVPD) on a structure of composition C20H57O12 at a distorted geometry.
____________
By Michael Mountain,
If you pay much attention to the news of climate change, extinction rates and the like, it can look quite depressing and overpowering. And you can be forgiven for throwing your arms up and saying, “The poles are melting, the oceans are dying, and there’s nothing much I can do about it.”
But that’s because most climate scientists and environmental organizations continue to skip over the one critical thing that any and all of us can do to save ourselves, the other animals and the Earth from the devastation that climate change is beginning to wreak.
The fact is there’s one simple thing that we can all do about it. And the more of us do it, the more we can turn this whole thing around while there’s still time.
The key that keeps being ignored is the huge difference we can make by moving to a plant-based diet.
Two years ago, two people from the World Bank wrote a paper saying that more than half of all greenhouse gas emissions can be attributed directly to cattle, sheep, pigs, poultry, horses, goats, buffalo and camels.
It’s saying that if you want to stop climate change, stop eating so much meat. It really is as simple as that. The more you switch to a plant-based diet, the more of a difference you make.
The two writers, Robert Goodland and Jeff Anhang, are not radical vegans from a fringe animal rights group; Goodland is a former World Bank Group environmental advisor, and Anhang is an environmental specialist at the World Bank Group’s International Finance Corporation.
These two experts reviewed a United Nations report (Livestock’s Long Shadow) which said that annual emissions from these domestic animals account for 18 percent of greenhouse gases. But Goodland and Anhang concluded that the UN’s figures were way too low, and that the true number is at least 51 percent:
These figures should be a green light for anyone who wants to bequeath to their children a planet that’s not spiraling into climate disaster.
Strong claims like this require strong evidence. And the rest of their article provides detailed evidence. You can read it here.
What comes next are data records, not part of the text
+++
Record 1
ORCA calculation (ωB97M-V/def2-TZVPD) on one molecule with the formula C7H16N2.

Structure (XYZ):
```
25
Properties=species:S:1:pos:R:3:forces:R:3:nbo_charge:R:1
C -1.164 -0.447 0.846 2.511 -1.735 0.730 0.068
C 1.663 -1.128 0.729 -0.414 0.118 0.539 -0.416
C -0.609 2.225 -1.871 0.347 0.007 0.112 -0.429
C 1.675 0.468 -1.839 0.022 -0.314 0.265 -0.692
C -0.879 0.198 2.181 -0.122 0.056 0.076 -0.647
C -1.573 -1.902 0.897 -0.096 -0.063 0.161 -0.639
N 0.478 -0.598 0.083 -3.021 0.265 0.142 -0.462
C 0.547 0.394 -0.828 -1.073 1.819 -0.691 0.454
N -0.436 1.252 -0.815 0.812 -0.377 -0.510 -0.563
H -1.968 0.093 0.351 1.089 0.188 -0.710 0.240
H 2.118 -0.396 1.409 0.053 -0.067 0.026 0.177
H 1.407 -2.012 1.318 -0.031 0.067 -0.093 0.206
H 2.432 -1.436 0.010 -0.316 0.092 -0.023 0.207
H 0.276 2.860 -2.006 -0.019 0.027 -0.147 0.172
H -1.440 2.886 -1.606 0.089 -0.097 -0.033 0.196
H -0.857 1.764 -2.836 0.069 0.024 -0.002 0.177
H 2.305 1.336 -1.628 0.004 -0.060 -0.074 0.229
H 2.290 -0.433 -1.833 0.019 0.122 0.024 0.216
H 1.272 0.577 -2.849 -0.061 0.084 0.149 0.232
H -0.488 1.208 2.049 -0.058 -0.085 -0.080 0.232
H -2.574 -1.982 1.341 0.166 -0.031 0.050 0.210
H -0.159 -0.379 2.765 -0.050 -0.029 0.012 0.199
H -1.809 0.276 2.760 0.114 -0.049 -0.031 0.212
H -0.875 -2.504 1.481 -0.067 -0.050 0.041 0.197
H -1.631 -2.322 -0.109 0.032 0.087 0.067 0.222
```
Positions in Å, forces in eV/Å.

The SMILES is C/N=C(\C)N(C)C(C)C. The value obtained for the HOMO-LUMO gap is 8.8 eV. Its energy above the lowest of the compared OMol25 structures with the same formula, charge and spin is 2.4403 eV. The value obtained for the HOMO energy is -7.82 eV. The calculation puts the lowest unoccupied orbital energy at 1.0 eV.

=====

Record 2
ORCA calculation (ωB97M-V/def2-TZVPD) on a 14-piece molecular cluster, C40H94BN4O21 overall.

Structure (XYZ):
```
160
Properties=species:S:1:pos:R:3:forces:R:3:mulliken_spin:R:1
O -0.102 1.810 1.434 -1.181 -0.057 -1.211 0.000
C -0.548 1.651 0.311 1.294 -1.250 1.357 0.000
O -1.771 1.338 -0.075 0.715 1.153 0.749 0.000
B -1.789 1.219 -1.529 -0.339 -0.723 0.406 0.000
O -0.356 1.239 -1.914 -0.467 -0.721 -2.015 0.000
C 0.394 1.460 -0.922 3.269 1.311 1.455 -0.001
O 1.648 1.558 -0.912 -3.519 -0.213 0.179 0.000
O -2.478 2.307 -2.217 -2.483 -0.314 -2.247 0.000
C -3.489 1.783 -3.008 -1.042 1.345 0.144 0.000
O -4.320 2.348 -3.746 3.295 -1.167 2.645 0.000
C -3.518 0.269 -2.704 0.320 -4.280 -0.917 0.000
O -2.478 -0.033 -1.836 -1.896 1.181 -1.970 0.000
O -4.223 -0.620 -3.233 1.829 3.526 1.962 0.000
C -1.232 -0.826 3.164 -0.366 0.432 1.048 0.000
C -1.830 -2.260 3.130 0.738 -1.215 -1.271 0.000
C -0.871 -3.336 3.788 -0.272 1.265 1.559 0.000
C -0.975 -3.293 5.349 -0.339 0.431 -1.141 0.000
C -2.421 -3.428 5.738 -1.446 -0.680 0.542 0.000
C -3.494 -2.515 5.051 1.462 0.609 0.819 0.000
N -3.197 -2.457 3.638 0.389 -1.266 -0.123 0.000
O -4.129 -1.596 3.020 0.078 0.612 0.081 0.000
C -4.855 -3.171 5.291 -0.461 -0.699 -0.170 0.000
C -3.466 -1.114 5.708 -0.825 -0.779 1.139 0.000
+++
The text goes on
Very simply, the world’s best chance for mitigating climate change is to eat less meat. And the need is heightened by the fact that human population is expected to grow by 35 percent by 2050. And livestock numbers will double in that time—meaning they’ll be pumping twice the amount of greenhouse gases into the atmosphere.
The side benefits include a huge savings in water in an increasingly drought-stricken world, and all the health and nutritional benefits – in particular in relation to heart disease, diabetes-2 and several cancers – that are attributable directly to the food we eat.
The article touches briefly on the question of fish. And yes, we should cut way back on that, too. But Goodland and Anhang focus their calculations on the meat side of things because it’s more quantifiable in terms of greenhouse gases.
These figures should be a green light for anyone who wants to bequeath to their children a planet that’s not just spiraling into climate disaster.
After explaining the science of their conclusions, Goodland and Anhang also discuss the benefits to food companies of switching to plant-based food production. And while they’re not marketing experts, they do take a stab at how we can start making the change:
What’s encouraging about all this is that it gives the lie to the belief that We the People are helpless in the face of climate change. In his recent book Our Choice, which delves deeply into the causes of climate change, Al Gore writes that little of any real consequence can be accomplished at this stage without the concerted action of governments around the world. But it’s hard to be optimistic about the likelihood of governments around the world working together when we can’t even get our own government working!
The new analysis of Goodland and Anhang goes in quite the other direction. Their focus on the food we eat shows how we can all individually make a difference. And while, certainly, it depends on a lot of us changing our habits, it gives each of us a meaningful starting point together with the potential for a snowball effect.
This could be a real “We the People” campaign that’s good for our health, good for our children, good for all the animals, and good for the planet. And it would ensure that we pass on to all of them the legacy of an inhabitable planet.
What could be better than that?